Excerpt:
<<<
Structure and computed PXRD pattern of TmZn6CuPd (a PBE-relaxed structure; Cu Kα (weighted mean of Kα1 and Kα2)).

Crystal structure
Cell: 8.8252 8.8252 8.8252 Å, 145.81 113.23 77.20°
Positions (direct):
Tm (0.3633, 0.1133, 0.2500)
Tm (0.6367, 0.8867, 0.7500)
Zn (0.1399, 0.4054, 0.2361)
Zn (0.1399, 0.9038, 0.7345)
Zn (0.1606, 0.9106, 0.2500)
Zn (0.1903, 0.4403, 0.7500)
Zn (0.3307, 0.0962, 0.7361)
Zn (0.3307, 0.5946, 0.2345)
Zn (0.6693, 0.4054, 0.7655)
Zn (0.6693, 0.9038, 0.2639)
Zn (0.8097, 0.5597, 0.2500)
Zn (0.8394, 0.0894, 0.7500)
Zn (0.8601, 0.0962, 0.2655)
Zn (0.8601, 0.5946, 0.7639)
Cu (0.0000, 0.5000, 0.5000)
Cu (0.5000, 0.5000, 0.0000)
Pd (0.0000, 0.0000, 0.5000)
Pd (0.0000, 0.5000, 0.0000)

Main lines, by intensity (2θ from 5° to 70°):
37.02 deg, rel. 100
47.70 deg, rel. 75
43.56 deg, rel. 55
25.95 deg, rel. 42
25.87 deg, rel. 39
23.33 deg, rel. 34
39.37 deg, rel. 33
11.14 deg, rel. 31
>>>

Assignment:
Next, write out the notes further above from the line with "(0.3633, 0.1133," to the end verbatim.

Worked solution:
Tm (0.3633, 0.1133, 0.2500)
Tm (0.6367, 0.8867, 0.7500)
Zn (0.1399, 0.4054, 0.2361)
Zn (0.1399, 0.9038, 0.7345)
Zn (0.1606, 0.9106, 0.2500)
Zn (0.1903, 0.4403, 0.7500)
Zn (0.3307, 0.0962, 0.7361)
Zn (0.3307, 0.5946, 0.2345)
Zn (0.6693, 0.4054, 0.7655)
Zn (0.6693, 0.9038, 0.2639)
Zn (0.8097, 0.5597, 0.2500)
Zn (0.8394, 0.0894, 0.7500)
Zn (0.8601, 0.0962, 0.2655)
Zn (0.8601, 0.5946, 0.7639)
Cu (0.0000, 0.5000, 0.5000)
Cu (0.5000, 0.5000, 0.0000)
Pd (0.0000, 0.0000, 0.5000)
Pd (0.0000, 0.5000, 0.0000)

Main lines, by intensity (2θ from 5° to 70°):
37.02 deg, rel. 100
47.70 deg, rel. 75
43.56 deg, rel. 55
25.95 deg, rel. 42
25.87 deg, rel. 39
23.33 deg, rel. 34
39.37 deg, rel. 33
11.14 deg, rel. 31